19.4 Co-Location Local Join Count Statistic
Attached: calculated crystals:
____________
Structure and calculated XRD peak list of NdScS3 (a DFT-relaxed cell (PBE, Alexandria); copper Kα).
Peak positions follow from Bragg's law for the DFT cell and can differ from measured ones.

abc: 7.3775 7.3775 8.3733
angles: 91.06 91.06 30.10
Fractional positions:
Nd: 0.1131 0.1131 0.0929
Nd: 0.8869 0.8869 0.9071
Sc: 0.3216 0.3216 0.3625
Sc: 0.6784 0.6784 0.6375
S: 0.1430 0.1430 0.4475
S: 0.2446 0.2446 0.8325
S: 0.4587 0.4587 0.1673
S: 0.5413 0.5413 0.8327
S: 0.7554 0.7554 0.1675
S: 0.8570 0.8570 0.5525

Top 10 peaks for 2θ = 5–70°, sorted by position:
| d [Å] | 2θ/deg | I_rel |
| --- | --- | --- |
| 8.372 | 10.57 | 100.0 |
| 5.477 | 16.18 | 36.2 |
| 3.639 | 24.46 | 34.8 |
| 3.562 | 25.00 | 28.1 |
| 3.391 | 26.28 | 57.7 |
| 2.798 | 31.99 | 72.4 |
| 2.415 | 37.23 | 52.7 |
| 2.296 | 39.24 | 30.5 |
| 2.286 | 39.41 | 32.6 |
| 2.050 | 44.19 | 40.9 |

=====

Structure and calculated XRD peak list of Th7Ir2Pb2 (a DFT-relaxed cell (PBE, Alexandria); copper Kα).
Peak positions follow from Bragg's law for the DFT cell and can differ from measured ones.

abc: 7.1449 7.1449 6.9967
angles: 90.00 90.00 105.12
Fractional positions:
Th: 0.0000 0.0000 0.0000
Th: 0.0000 0.5000 0.2595
Th: 0.0000 0.5000 0.7405
Th: 0.5000 0.0000 0.2595
Th: 0.5000 0.0000 0.7405
Th: 0.5000 0.5000 0.2389
Th: 0.5000 0.5000 0.7611
Ir: 0.2635 0.7365 0.0000
Ir: 0.7365 0.2635 0.0000
Pb: 0.1748 0.1748 0.5000
Pb: 0.8252 0.8252 0.5000

Top 10 peaks for 2θ = 5–70°, sorted by position:
| d [Å] | 2θ/deg | I_rel |
| --- | --- | --- |
| 3.690 | 24.12 | 41.8 |
| 3.449 | 25.83 | 37.1 |
| 3.120 | 28.61 | 43.0 |
| 2.837 | 31.54 | 67.8 |
| 2.463 | 36.48 | 30.6 |
| 2.456 | 36.59 | 100.0 |
| 2.249 | 40.09 | 21.6 |
| 2.172 | 41.58 | 19.6 |
| 1.554 | 59.50 | 24.3 |
| 1.489 | 62.37 | 19.4 |

=====

Number 2 is which compound?
Th7Ir2Pb2

----------

Simulated powder XRD pattern
Compound: Mn2NiP3O12
Radiation: Cu Kα X-rays
Structure: a crystal structure in the Materials Project, relaxed with GGA+U
Kinematic intensities with the Lorentz-polarization factor, no thermal factor.

Structure:
Cell: 8.4394 8.4394 8.4394 Å, 60.90 60.90 60.90°
Element x y z (fractional)
Mn 0.1420 0.1420 0.1420
Mn 0.3580 0.3580 0.3580
Mn 0.6420 0.6420 0.6420
Mn 0.8580 0.8580 0.8580
Ni 0.0000 0.0000 0.0000
Ni 0.5000 0.5000 0.5000
P 0.0427 0.7500 0.4573
P 0.2500 0.5427 0.9573
P 0.4573 0.0427 0.7500
P 0.5427 0.9573 0.2500
P 0.7500 0.4573 0.0427
P 0.9573 0.2500 0.5427
O 0.0087 0.8139 0.6149
O 0.0574 0.9112 0.2569
O 0.0888 0.7431 0.9426
O 0.1149 0.3139 0.5087
O 0.1861 0.3851 0.9913
O 0.2431 0.5888 0.4426
O 0.2569 0.0574 0.9112
O 0.3139 0.5087 0.1149
O 0.3851 0.9913 0.1861
O 0.4112 0.5574 0.7569
O 0.4426 0.2431 0.5888
O 0.4913 0.8851 0.6861
O 0.5087 0.1149 0.3139
O 0.5574 0.7569 0.4112
O 0.5888 0.4426 0.2431
O 0.6149 0.0087 0.8139
O 0.6861 0.4913 0.8851
O 0.7431 0.9426 0.0888
O 0.7569 0.4112 0.5574
O 0.8139 0.6149 0.0087
O 0.8851 0.6861 0.4913
O 0.9112 0.2569 0.0574
O 0.9426 0.0888 0.7431
O 0.9913 0.1861 0.3851
____________
The second extension of the Local Join Count statistic to multiple variables considers co-location. This allows two or more variables to take a value of 1 at the same location, i.e., \(x_i = z_i = 1\).
For two variables, a co-location cluster requires that an observation for which \(x_i = z_i = 1\) coincides with neighbors for which \(x_j = z_j = 1\) as well. For two variables, the corresponding Local Join Count statistic takes the form (Anselin and Li 2019): \[CLC_i = x_iz_i \sum_j w_{ij}x_jz_j,\] with \(w_{ij}\) as unstandardized (binary) spatial weights. As before, there are \(P\) observations with \(x_i = 1\) and \(Q\) observations with \(z_i = 1\) out of a total of \(n\).
[Records of crystals, as found in the file]
- - -
1.
Pr2Zn6Ge3: simulated powder diffraction line list (CuKα), based on a crystal structure in the Materials Project, relaxed with PBE.
Lines closer than 0.1° are merged.

The 6 most intense peaks (2θ = 10–90°), in order of rising 2θ:
(hkl), two_theta, intensity
1 1 1, 31.77, 1000
2 1 0, 35.61, 219
3 0 0, 40.57, 327
2 1 1, 41.98, 531
0 0 2, 43.83, 246
4 1 1, 68.33, 210

Crystal structure
Cell: 7.7022 7.7022 4.1311 Å, 90.00 90.00 120.00°
Space group P-62m (No. 189)
One atom of each set of equivalent atoms:
Pr1 0.3333 0.6667 0.0000
Zn1 0.0000 0.1892 0.0000
Zn2 0.0000 0.7118 0.5000
Ge1 0.0000 0.3815 0.5000

=====

2.
UGaAu: simulated powder diffraction line list (CuKα), based on a crystal structure in the Materials Project, relaxed with PBE.
Lines closer than 0.1° are merged.

The 6 most intense peaks (2θ = 10–90°), in order of rising 2θ:
(hkl), two_theta, intensity
1 0 1, 26.16, 219
1 1 0, 36.71, 1000
1 0 2, 37.94, 969
2 0 2, 53.82, 359
2 1 2, 66.92, 381
1 1 4, 77.25, 242

Crystal structure
Cell: 4.8965 4.8965 5.7215 Å, 90.00 90.00 120.00°
Space group P6_3/mmc (No. 194)
One atom of each set of equivalent atoms:
U1 0.0000 0.0000 0.0000
Ga1 0.3333 0.6667 0.2500
Au1 0.3333 0.6667 0.7500

=====

3.
MgBi2O4: simulated powder diffraction line list (CuKα), based on a crystal structure in the Materials Project, relaxed with PBE.
Lines closer than 0.1° are merged.

The 6 most intense peaks (2θ = 10–90°), in order of rising 2θ:
(hkl), two_theta, intensity
0 1 1, 15.85, 1000
0 0 3, 16.06, 600
2 0 1, 30.57, 809
1 1 3, 30.69, 923
0 2 2, 32.00, 949
2 0 4, 37.26, 932

Crystal structure
Cell: 6.8618 6.8618 16.5520 Å, 90.00 90.00 120.00°
Space group P3m1 (No. 156)
One atom of each set of equivalent atoms:
Mg1 0.0000 0.0000 0.0000
Mg2 0.0000 0.0000 0.2477
Mg3 0.3333 0.6667 0.5853
Mg4 0.6667 0.3333 0.2896
Mg5 0.6667 0.3333 0.6661
Mg6 0.6667 0.3333 0.9150
Bi1 0.0000 0.0000 0.6240
Bi2 0.1666 0.3333 0.7926
Bi3 0.3333 0.6667 0.3387
Bi4 0.3333 0.6667 0.9617
Bi5 0.3361 0.1680 0.4571
Bi6 0.5046 0.0093 0.1270
O1 0.0000 0.0000 0.3714
O2 0.0000 0.0000 0.8755
O3 0.1647 0.3294 0.0415
O4 0.1719 0.3439 0.5397
O5 0.3321 0.1661 0.7061
O6 0.3333 0.6667 0.2077
O7 0.3333 0.6667 0.7097
O8 0.3537 0.1769 0.2129
O9 0.5011 0.0021 0.8745
O10 0.5224 0.0448 0.3693
O11 0.6667 0.3333 0.0418
O12 0.6667 0.3333 0.5404

=====

4.
Rb2TlGaF6: simulated powder diffraction line list (CuKα), based on a crystal structure in the Materials Project, relaxed with PBE.
Lines closer than 0.1° are merged.

The 6 most intense peaks (2θ = 10–90°), in order of rising 2θ:
(hkl), two_theta, intensity
2 2 0, 27.45, 1000
4 0 0, 39.21, 332
4 2 2, 48.53, 392
4 4 0, 56.65, 203
6 2 0, 64.08, 211
6 4 2, 77.76, 228

Crystal structure
Cell: 9.1906 9.1906 9.1906 Å, 90.00 90.00 90.00°
Space group Fm-3m (No. 225)
One atom of each set of equivalent atoms:
Rb1 0.2500 0.2500 0.2500
Tl1 0.0000 0.0000 0.0000
Ga1 0.0000 0.0000 0.5000
F1 0.0000 0.0000 0.2897

=====

5.
- - -
[Back to the page]
A conditional permutation approach can be constructed for those locations with \(x_i = z_i = 1\). The permutation consists of draws of \(k_i\) pairs of observations \((x_j, z_j)\) from the remaining set of \(n-1\) tuples, which contain \(P-1\) observations with \(x_j = 1\) and \(Q-1\) observations with \(z_j = 1\). In a one-sided test, the number of times are counted where the statistic equals or exceeds the observed join count value at \(i\).
The extension to more than two variables is mathematically straightforward. At each location \(i\), \(k\) variables are considered, i.e., \(x_{hi}\), for \(h = 1, \dots, k\), with \(\Pi_{h=1}^k x_{hi} = 1\), which enforces the co-location requirement.
The corresponding statistic is then: \[CLC_i = \Pi_{h=1}^k x_{hi} \sum_j w_{ij} \Pi_{h=1}^k x_{hj}.\] The implementation of a conditional permutation strategy follows as a direct generalization of the two-variable co-location case. However, for a large number of variables, such co-locations become less and less likely, and a different conceptual framework may be more appropriate.
19.4.1 Implementation
The Co-Location Local Join Count statistic is invoked from the third group in the drop down list associated with the Cluster Maps toolbar icon, or, from the menu, as Space > Co-location Local Join Count. This is followed by a Multi-Variable Settings dialog, where the variables to be considered can be specified. At the bottom of the dialog is the customary drop-down list with the spatial weights.
To illustrate this statistic, the two variables are Blk, tracts with majority Black population, and CAR, tracts where more than 50% of the commutes happen by car. The spatial weights are again queen contiguity, Chi_SDOH_q.
A co-location map of the two binary variables is shown in the left-hand panel of Figure 19.5. Of the 791 tracts, 167 are both majority Black and majority commute by car. Of the remainder, 254 are neither and 370 show a mismatch of the majorities. The corresponding Co-Location Local Join Count significance map is shown in the right-hand panel, using 99,999 permutations and a cut-off of 0.05. At 0.05, there are 90 cores of clusters that overlap, out of the 167, but at 0.01, only 57 of those remain. They confirm the impression of high dependence on commuting by car in majority Black neighborhoods.

Figure 19.5: Co-Location Local Join Count
All the usual options are available.